Garden for a living London

Person looking at flowers in Walthamstow Wetlands

© Eleanor Church

Garden for a living London

<<<
Calculated PXRD pattern
Compound: Bi2SbS4Br
Radiation: copper Kα
Structure: DFT lattice parameters and positions (GGA-PBE)
Kinematic intensities with the Lorentz-polarization factor, no thermal factor.

Cell and atoms:
```
8
Lattice="6.569 -1.966 0.000 6.569 1.966 0.000 -4.705 0.000 8.513" Properties=species:S:1:pos:R:3 pbc="T T T"
Bi 1.450 0.000 2.178
Bi 6.983 0.000 6.335
Sb -2.352 0.000 4.256
S -1.361 0.000 6.817
S 2.342 0.000 4.781
S 6.092 0.000 3.732
S 9.794 0.000 1.696
Br 6.569 0.000 0.000
```

Main lines, sorted by position (2θ = 10–80°):
| d [Å] | I (rel.) |
| --- | --- |
| 6.417 | 22 |
| 4.667 | 100 |
| 3.229 | 76 |
| 2.925 | 69 |
| 2.829 | 56 |
| 2.788 | 62 |
| 2.449 | 58 |
| 2.128 | 22 |
| 1.986 | 37 |
| 1.966 | 24 |

***

Calculated PXRD pattern
Compound: Bi3SeBr7
Radiation: copper Kα
Structure: DFT lattice parameters and positions (GGA-PBE)
Kinematic intensities with the Lorentz-polarization factor, no thermal factor.

Cell and atoms:
```
11
Lattice="8.412 0.000 0.000 -4.206 7.285 0.000 0.000 0.000 7.107" Properties=species:S:1:pos:R:3 pbc="T T T"
Bi -2.039 3.679 0.000
Bi 2.039 3.679 0.000
Bi 0.000 7.211 0.000
Se 0.000 4.857 1.623
Br 0.000 2.495 5.414
Br -2.045 6.037 5.414
Br 2.148 1.240 1.600
Br 2.045 6.037 5.414
Br 4.206 2.428 5.294
Br 6.263 1.240 1.600
Br 4.206 4.804 1.600
```

Main lines, sorted by position (2θ = 10–80°):
| d [Å] | I (rel.) |
| --- | --- |
| 7.285 | 24 |
| 7.107 | 72 |
| 5.087 | 18 |
| 3.242 | 100 |
| 2.544 | 70 |
| 2.103 | 36 |
| 2.017 | 21 |
| 1.986 | 31 |
| 1.764 | 17 |
| 1.621 | 18 |

***

Calculated PXRD pattern
Compound: Sr4BiSe2Br
Radiation: copper Kα
Structure: DFT lattice parameters and positions (GGA-PBE)
Kinematic intensities with the Lorentz-polarization factor, no thermal factor.

Cell and atoms:
```
8
Lattice="0.000 4.589 6.526 4.584 0.000 6.526 4.584 4.589 0.000" Properties=species:S:1:pos:R:3 pbc="T T T"
Sr 2.292 2.294 0.000
Sr 4.584 4.589 3.221
Sr 2.292 2.294 6.526
Sr 4.584 4.589 9.831
Bi 0.000 0.000 0.000
Se 2.292 2.294 3.263
Se 6.876 6.883 9.789
Br 4.584 4.589 6.526
```

Main lines, sorted by position (2θ = 10–80°):
| d [Å] | I (rel.) |
| --- | --- |
| 5.808 | 18 |
| 3.263 | 51 |
| 3.243 | 100 |
| 2.300 | 78 |
| 2.293 | 38 |
| 1.876 | 42 |
| 1.458 | 18 |
| 1.452 | 27 |
| 1.329 | 13 |
| 1.325 | 27 |

***

Calculated PXRD pattern
Compound: SnBiBr5
Radiation: copper Kα
Structure: DFT lattice parameters and positions (GGA-PBE)
Kinematic intensities with the Lorentz-polarization factor, no thermal factor.

Cell and atoms:
```
14
Lattice="8.445 0.000 0.000 0.000 4.324 0.000 -1.027 0.000 14.166" Properties=species:S:1:pos:R:3 pbc="T T T"
Sn 0.657 1.081 1.877
Sn 6.761 3.243 12.289
Bi 3.047 3.243 4.997
Bi 4.372 1.081 9.169
Br 0.262 3.243 4.458
Br 0.274 1.081 13.233
Br 2.150 1.081 6.890
Br 2.805 3.243 1.940
Br 2.591 3.243 10.004
Br 4.827 1.081 4.162
Br 4.614 1.081 12.227
Br 5.268 3.243 7.276
Br 7.144 3.243 0.933
Br 7.156 1.081 9.708
```

Main lines, sorted by position (2θ = 10–80°):
| d [Å] | I (rel.) |
>>>

We all have the power and responsibility to make a huge difference. 

So we are asking gardeners to take urgent action now and pledge to Garden for a Living London.


Help transform the capital's three million gardens into a network of nature reserves

There are over three million gardens in Greater London - 3,267,174 to be precise. That's an area of 37,942.09 hectares*.
In the face of climate change and habitat fragmentation, this massive expanse of green space has enormous untapped potential for both people and wildlife.
However, worrying research by London Wildlife Trust shows that London's gardens are changing from green to grey.
Garden greenspace in the capital's gardens has been lost at a rate of two and a half Hyde Parks per year - driven by recent trends in garden design.
We need to reverse this trend!
London Wildlife Trust's Garden for a Living London campaign is calling on city gardeners to pledge to do one thing to create a wildlife and climate friendly garden, and help transform the capital's three million gardens into a network of mini nature reserves.
Fox at Centre for Wildlife Gardening

Fox at Centre for Wildlife Gardening credit Daniel Greenwood

Three million mini nature reserves

The Garden for a Living London campaign aims to highlight the incredible importance of the capital's gardens to wildlife and to people. In urban areas especially, gardens will help reduce the impacts of climate change.
They provide shade, absorb carbon, soak up flood water, retain water and help to cool the city.
They also provide vital habitat for wildlife, and a strong network of wildlife and climate-friendly gardens stretching across the capital will provide room for species to move freely and adapt to our changing climate.
The fact there are over three million gardens in Greater London shows just how important a resource they are.


Wildlife gardening guides

London Wildlife Trust has come up with six gardening actions that would help create a 'Living London' - a city more resilient to climate change and better for wildlife:
Large White Butterfly on Lavender

Large white butterfly credit Megan Lowe

Plant drought-resistant plants

Drought-resistant plants that are good for wildlife provide food and shelter for birds and insects.

As our summers become drier due to climate change, drought-tolerant plants reduce the need to water your garden.


Our 'how to' guide will tell you which plants are best
Hawthorn hedge

Hawthorn (Crataegus monogyna) hedge in blossom at RSPB's Hope Farm in Cambridgeshire. May 2011. - Chris Gomersall/2020VISION

Plant a mixed hedgerow

A mixed hedgerow provides food, nesting places and shelter for lots of birds, mammals and insects.

Attached: calculated crystals
- - -
# 1
Structure and simulated powder diffraction line list of PaGa2Cl8 (a crystal structure in Alexandria, relaxed with PBE; CuKα).

Structure:
Cell: 6.432 7.682 7.686 Å, 74.05 83.39 83.20°
Fractional coordinates of all 11 atoms:
Pa1 0.000 0.000 0.000
Ga1 0.229 0.476 0.473
Ga2 0.771 0.524 0.527
Cl1 0.153 0.178 0.178
Cl2 0.257 0.125 0.721
Cl3 0.258 0.721 0.125
Cl4 0.414 0.633 0.630
Cl5 0.586 0.367 0.370
Cl6 0.742 0.279 0.875
Cl7 0.743 0.875 0.279
Cl8 0.847 0.822 0.822

Top 12 peaks for 2θ = 10–90°, low angle first:
13.92°, intensity 27; 14.60°, intensity 88; 17.60°, intensity 41; 18.67°, intensity 29; 19.21°, intensity 100; 24.19°, intensity 20; 29.09°, intensity 29; 30.73°, intensity 32; 31.61°, intensity 29; 33.58°, intensity 21; 39.74°, intensity 21; 44.60°, intensity 22

---

# 2
Structure and simulated powder diffraction line list of Cu3AgSe2 (a crystal structure in Alexandria, relaxed with PBE; CuKα).

Structure:
Cell: 7.667 7.667 8.234 Å, 120.52 120.52 31.20°
Fractional coordinates of all 12 atoms:
Cu1 0.088 0.088 0.273
Cu2 0.313 0.313 0.525
Cu3 0.396 0.396 0.904
Cu4 0.604 0.604 0.096
Cu5 0.687 0.687 0.475
Cu6 0.912 0.912 0.727
Ag1 0.119 0.119 0.633
Ag2 0.881 0.881 0.367
Se1 0.221 0.221 0.186
Se2 0.487 0.487 0.255
Se3 0.513 0.513 0.745
Se4 0.779 0.779 0.814

Top 12 peaks for 2θ = 10–90°, low angle first:
12.65°, intensity 23; 13.07°, intensity 16; 31.71°, intensity 22; 35.36°, intensity 29; 37.16°, intensity 18; 37.95°, intensity 100; 39.46°, intensity 40; 43.91°, intensity 53; 44.02°, intensity 25; 47.20°, intensity 21; 48.61°, intensity 28; 50.11°, intensity 16

---

# 3
Structure and simulated powder diffraction line list of MnZn2Hg (a crystal structure in Alexandria, relaxed with PBE; CuKα).

Structure:
Cell: 4.203 2.872 11.008 Å, 90.00 90.00 90.00°
Fractional coordinates of all 8 atoms:
Mn1 0.000 0.000 0.000
Mn2 0.000 0.500 0.500
Zn1 0.000 0.000 0.722
Zn2 0.000 0.500 0.222
Zn3 0.500 0.000 0.590
Zn4 0.500 0.500 0.090
Hg1 0.500 0.000 0.344
Hg2 0.500 0.500 0.844

Top 12 peaks for 2θ = 10–90°, low angle first:
16.10°, intensity 29; 21.14°, intensity 27; 26.69°, intensity 34; 32.21°, intensity 19; 38.85°, intensity 100; 39.13°, intensity 84; 39.86°, intensity 49; 43.04°, intensity 35; 45.54°, intensity 16; 52.36°, intensity 17; 60.10°, intensity 29; 78.49°, intensity 21

---

# 4
Structure and simulated powder diffraction line list of TlIn6Hg23 (a crystal structure in Alexandria, relaxed with PBE; CuKα).

Structure:
Cell: 8.577 10.316 11.018 Å, 109.86 112.23 90.74°
Fractional coordinates of all 30 atoms:
Tl1 0.000 0.000 0.000
In1 0.247 0.248 0.496
In2 0.262 0.260 0.999
In3 0.262 0.740 0.001
In4 0.738 0.260 0.999
In5 0.738 0.740 0.001
In6 0.753 0.752 0.504
Hg1 0.000 0.000 0.500
Hg2 0.000 0.500 0.000
Hg3 0.000 0.500 0.500
Hg4 0.105 0.370 0.735
Hg5 0.123 0.373 0.247
Hg6 0.128 0.871 0.258
Hg7 0.136 0.866 0.736
Hg8 0.367 0.635 0.270
Hg9 0.368 0.624 0.734
Hg10 0.372 0.121 0.744
Hg11 0.395 0.130 0.262
Hg12 0.500 0.000 0.000
Hg13 0.500 0.000 0.500
- - -
The calculated crystals stop here

Hedges also create cool, shady places in what otherwise might be a hot, exposed site.


Read our 'how to' guide and start planting your hedgerow
Frog and flower

Wildlife pond at Centre for Wildlife Gardening credit Ella Cox

Make a pond

Ponds greatly improve a garden's wildlife potential. Even small ponds can support a rich diversity of wildlife and provide places for animals to bathe, drink and mate.

A series of ponds in a neighbourhood creates essential corridors for wildlife to move and adapt to climate change.

Read our 'how to' guide and start making your pond
Biting stonecrop

Biting stonecrop credit Philip Precey

Add a green roof to your shed

Living roofs increase the planting area in your garden and provide extra wildlife habitat.

They also absorb rainwater and can help to stabilise the temperature of a building.


Read our 'how to' guide and start creating a green roof on your shed
Wildlife gardening

Credit Gillian Day

Wild up your decking

Adding planted containers to your wooden decking creates refuges for animals as they travel through your garden.

There's very little that won’t grow in a container. The result can be an attractive and rich green space that benefits people and wildlife.

Read our 'how to' guide now and start wilding up your decking
Leaf mulch on woodland floor

Credit Julietta Watson

Use mulch

**Crystal structures, as found in the file**
____________
For MgScH6Rh2, the GGA-PBE geometry in Alexandria gives the calculated powder XRD pattern in this record (CuKα).
Peak positions follow from Bragg's law for the DFT cell and can differ from measured ones.

Cell and atoms:
Lattice parameters (Å, degrees): 5.617 5.617 5.617 47.05 47.05 47.05
Element x y z (fractional)
Mg 0.000 0.000 0.000
Sc 0.500 0.500 0.500
H 0.056 0.056 0.552
H 0.056 0.552 0.056
H 0.448 0.944 0.944
H 0.552 0.056 0.056
H 0.944 0.448 0.944
H 0.944 0.944 0.448
Rh 0.290 0.290 0.290
Rh 0.710 0.710 0.710

Largest 10 diffraction maxima, in order of falling intensity, 2θ from 15° to 90°:
2θ = 40.22°, I 100
2θ = 33.27°, I 75
2θ = 37.97°, I 73
2θ = 25.85°, I 58
2θ = 17.79°, I 49
2θ = 44.30°, I 31
2θ = 48.64°, I 26
2θ = 23.67°, I 25
2θ = 56.51°, I 22
2θ = 71.62°, I 21

----------

BaAlCr4O7: theoretical XRD peak list (Cu Ka), based on the PBE+U geometry in Alexandria.
No peak broadening, texture or thermal motion is included.

Crystal structure
```
BaAlCr4O7
1.0
6.0853 0.0000 0.0000
-3.0427 5.2700 0.0000
0.0000 0.0000 10.4955
Ba Al Cr O
2 2 8 14
Direct
0.3333 0.6667 0.0000
0.6667 0.3333 0.5000
0.3333 0.6667 0.3901
0.6667 0.3333 0.8901
0.0000 0.0000 0.4793
0.0000 0.0000 0.9793
0.1616 0.3232 0.7039
0.1616 0.8384 0.7039
0.3232 0.1616 0.2039
0.6768 0.8384 0.7039
0.8384 0.1616 0.2039
0.8384 0.6768 0.2039
0.0000 0.0000 0.2986
0.0000 0.0000 0.7986
0.0196 0.5098 0.2868
0.1856 0.3711 0.5106
0.1856 0.8144 0.5106
0.3711 0.1856 0.0106
0.4902 0.5098 0.2868
0.4902 0.9804 0.2868
0.5098 0.0196 0.7868
0.5098 0.4902 0.7868
0.6289 0.8144 0.5106
0.8144 0.1856 0.0106
0.8144 0.6289 0.0106
0.9804 0.4902 0.7868
```

The 12 most intense peaks (15° ≤ 2θ ≤ 90°), by angle:
| d_spacing | I (rel.) | hkl |
| --- | --- | --- |
| 4.710 | 330 | 1 0 1 |
| 3.043 | 278 | 1 1 0 |
| 2.915 | 522 | 1 0 3 |
| 2.632 | 1000 | 1 1 2 |
| 2.624 | 311 | 0 0 4 |
| 2.556 | 891 | 2 0 1 |
| 1.731 | 273 | 2 1 3 |
| 1.666 | 227 | 3 0 2 |
| 1.642 | 377 | 2 0 5 |
| 1.521 | 319 | 2 2 0 |
| 1.316 | 172 | 2 2 4 |
| 1.123 | 126 | 4 1 2 |

----------

# CaDyV4O12
Calculated powder diffraction line list, Cu Kα X-rays. Input: a DFT-relaxed cell (GGA+U, Alexandria).
Lines closer than 0.1° are merged.

Crystal structure
Lattice parameters (Å, degrees): 7.4700 5.3618 5.3618 86.09 90.00 90.00
Sites, in units of the cell vectors:
Ca: 0.0000 0.0000 0.0000
Dy: 0.5000 0.4208 0.4208
V: 0.2470 0.4806 0.9603
V: 0.2470 0.9603 0.4806
V: 0.7530 0.4806 0.9603
V: 0.7530 0.9603 0.4806
O: 0.0000 0.4707 0.9015
O: 0.0000 0.9015 0.4707
O: 0.2213 0.2319 0.2319
O: 0.2494 0.1401 0.7322
O: 0.2494 0.7322 0.1401
O: 0.2954 0.6379 0.6379
O: 0.5000 0.4177 0.9947
O: 0.5000 0.9947 0.4177
O: 0.7046 0.6379 0.6379
O: 0.7506 0.1401 0.7322
O: 0.7506 0.7322 0.1401
O: 0.7787 0.2319 0.2319

Most intense lines, 2θ = 15–90°, in order of falling intensity:
2θ (°), d_spacing, Rel. int.
20.42, 4.349, 100
33.50, 2.675, 38
34.31, 2.614, 38
33.13, 2.704, 32
16.57, 5.349, 28
48.76, 1.868, 18
39.94, 2.257, 18
29.16, 3.062, 18
60.45, 1.531, 18
____________

Mulch provides cover for small animals and, as it breaks down, it enriches the soil and provides nourishment for plants. These in turn encourage more wildlife into your garden.

Adding a thick layer of mulch to your soil is one of the easiest and most useful jobs you can do to reduce the severity of climate change.

Read our 'how to' guide and start mulching

Research behind the campaign

* 3,267,174 gardens and 37,942.09 hectares source: Greenspace information for Greater London (GiGL).
GiGL is the capital's open space and biodiversity records centre - they collate, manage and make available detailed information on London's wildlife, parks, nature reserves, gardens and other open spaces.
The figures include both front and back gardens, so in some instances there are two gardens per household.
The figures are based on Ordnance Survey Mastermap vector GIS dataset.
Specifically, the calculations are based on a subset of this data where the legend attribute is '0000 Multiple surface (garden)' (which is itself added to the OS data by Dotted Eye's Interpose software during the conversion from GML to TAB format) and each feature is within the Greater London area (which includes all 33 boroughs).
One-fifth of London is made up of gardens according to the Mayor's Biodiversity Strategy, 2002.